Announcing the first biopharma IP-NFT Transaction

Molecule Blog
Published in
4 min readAug 13, 2021

Funding the first longevity research project by utilizing intellectual property NFTs in the pharmaceutical space


The vote has passed, the decision is made: The Scheibye-Knudsen Lab will be the first research organisation to fund their longevity research via an IPNFT. This historic moment needs to be celebrated properly! VitaDAO and Molecule invite you to be part of it by joining the public IPNFT ceremony next Tuesday 17th of August 2021 at 5 pm CET.


Throughout the past 2 weeks VitaDAO Token Holders got to vote on the proposal “VDP-5 Scheibye-Knudsen Lab Funding” to fund longevity at the Scheibye-Knudsen Lab in Copenhagen. The voting passed with 2.1M token votes and 88% of votes supporting the proposition. With the proposal having been approved by the DAO members, the lab in Copenhagen will receive $250.000 for the first research phase of the project over a period of 12 months. After successful completion and review of Phase 1 by the DAO, another $250.000 for an additional 12 months of research could be handed out to the lab.

As part of this deal, VitaDAO will fully own the intellectual property (IP) resulting from the research project. The first biopharma IP that will be owned and managed by a DAO. Ownership and access management to the IP will be handled via Molecule’s novel IPNFT framework. The infrastructure is utilizing Ethereum ERC721, Arweave and Nevermined.

IPNFT Transfer Ceremony

Join Molecule and VitaDAO in celebrating this amazing achievement. Find everything you need to know about the celebration:

  • What will happen: The first IPNFT holding a licence agreement for biopharma IP will be created and sold to VitaDAO by Molecule
  • When: Tuesday 17th of August 2021 at 5 pm CET
  • Where:
  • Who will be there: Molecule & VitaDAO Core Teams

If you haven’t yet read up on the research project as well as the researchers behind it, find more about it below:

About the Research Project

## What comes next are data records, not part of the piece
'''
[1]
Entry from the Open Molecules 2025 dataset: C3H6O in the gas phase (wB97M-V/def2-TZVPD).

Values from the calculation:
Highest occupied orbital energy in eV: -8.223
Kohn-Sham gap in eV: 8.7
Energy relative to the best compared isomer or geometry (same formula, charge and spin) in kJ/mol: 395.4
Energy in eV: -5251.596
Charge: 0

The geometry in XYZ format:
```
10
Properties=species:S:1:pos:R:3:nbo_charge:R:1
O 0.74 -0.93 0.65 -0.5535
C 1.37 0.01 -0.22 -0.2833
C -0.47 -1.12 0.10 0.3575
C -1.29 0.16 0.17 -0.8132
H -2.14 -0.25 0.74 0.2641
H 2.41 -0.29 -0.34 0.2127
H -1.72 0.49 -0.78 0.2466
H 1.27 1.05 0.11 0.1892
H -0.86 1.01 0.72 0.1999
H 0.89 -0.13 -1.20 0.1799
```

[2]
Entry from the Open Molecules 2025 dataset: a molecular structure, C38H52N2O3PtS3 (wB97M-V/def2-TZVPD).

Values from the calculation:
Highest occupied orbital energy (alpha / beta) in eV: -13.022 / -13.792
2S+1: 3
Kohn-Sham gap (alpha / beta) in eV: 7.8 / 8.2
Energy relative to the best compared isomer or geometry (same formula, charge and spin) in kJ/mol: 0.0
Energy in eV: -85111.254
Charge: +2

The geometry in XYZ format:
```
99
Properties=species:S:1:pos:R:3:lowdin_spin:R:1
Pt -0.10 0.58 -1.25 1.4377
S 2.35 2.19 1.36 0.0128
S 0.40 3.39 -2.99 0.0139
S -1.83 -1.84 -2.65 0.0072
O 1.43 1.74 0.24 0.0604
O -0.98 -0.60 -2.95 0.1209
O -0.46 2.18 -2.64 0.0285
N 0.29 -0.99 0.10 0.0598
N -1.83 0.60 0.06 0.1389
C -2.88 -0.44 1.91 0.0047
C 1.40 -1.72 0.08 0.0099
C -0.14 -4.95 3.15 -0.0002
C 2.27 1.40 -3.41 0.0252
C 0.78 -2.91 2.08 -0.0026
C 4.47 1.84 -4.27 0.0006
C 2.94 3.66 -3.93 0.0005
C 5.44 0.36 -0.47 0.0000
C 1.91 5.03 -1.17 0.0000
C -0.39 -2.13 2.07 0.0013
C 2.33 -4.67 3.00 0.0001
C -3.54 -1.25 -2.65 -0.0009
C -3.99 0.40 1.80 -0.0051
C -6.26 1.27 2.49 0.0002
C 1.01 -3.20 4.53 -0.0002
C -3.86 -0.28 -3.77 0.0000
C -0.61 -1.19 1.08 0.0057
C 4.18 0.90 -0.22 0.0000
C -1.76 -2.73 -4.21 0.0071
C -5.74 -1.16 2.62 -0.0003
C 2.01 2.77 -3.43 0.0040
C 6.17 1.01 1.73 0.0001
C 1.68 -2.68 1.04 0.0029
C 1.00 -3.93 3.18 -0.0003
C 3.02 4.22 -0.49 0.0002
C 0.62 4.24 -1.40 0.0010
C 4.92 1.55 2.00 0.0006
C -5.16 0.25 2.77 -0.0006
C 2.70 3.93 0.99 0.0025
C -2.87 1.42 -0.06 0.0100
C -1.82 -0.33 1.03 0.0098
C -2.64 -3.97 -4.23 0.0023
C 3.95 1.49 1.00 0.0012
C 3.51 0.94 -3.83 0.0032
C 4.19 3.19 -4.33 0.0015
C -3.96 1.35 0.78 0.0057
C 6.43 0.42 0.50 0.0000
C -4.64 0.46 4.20 -0.0003
H 4.70 1.99 2.96 0.0001
H -3.09 0.50 -3.84 0.0001
H 3.52 4.20 1.66 0.0009
H -0.25 4.89 -1.37 0.0000
H -2.86 -1.19 2.68 0.0010
H 1.82 4.46 1.33 0.0000
H -4.78 2.04 0.63 0.0009
H 3.95 4.79 -0.54 0.0000
H -3.65 -0.79 -1.67 -0.0001
H 0.07 -2.69 4.73 0.0000
H -3.88 -0.28 4.47 0.0000
H 2.60 -3.24 0.97 0.0003
H 3.19 3.29 -1.03 0.0000
H 3.40 0.87 -0.96 0.0004
H 6.94 1.04 2.49 0.0000
H -6.69 1.15 1.49 0.0000
H 3.71 -0.12 -3.84 0.0002
H 0.01 -5.69 3.94 0.0000
H 7.40 0.00 0.30 0.0000
H -2.00 -2.01 -5.00 0.0002
H -5.00 -1.93 2.86 0.0000
H -5.47 0.35 4.90 -0.0001
H 2.36 -5.23 2.07 0.0000
H 2.45 -5.38 3.82 0.0000
H -2.82 2.14 -0.87 0.0019
'''

What if therapeutics to slow down the ageing process and prevent age-related disease already existed? Recently, in an unprecedented effort, a large-scale study employing advanced machine learning methods analyzed medical records from over 4 million individuals in the Danish Health System’s medical and prescription records. The study, consisting of over 1.4 billion prescriptions, found that a number of prescription drugs were highly associated with longer life- and health-span in long-live populations. VitaDAO seeks to validate these observations through a series of carefully conducted wet-lab experiments. If successful, this work could result in the repurposing of several FDA-approved therapeutics for the purpose of extending the human lifespan, at a lower cost and over faster timelines than conceivably possible with de novo drug discovery.

This program focuses on testing and developing three of these small molecules as possible interventions in ageing. Specifically, we will test the drugs on human cell cultures and in fruit flies, before moving to mice in the future. These molecules target the longevity field with the aim of letting everyone live healthier, happier and longer lives.

Research Background

(The entry is interrupted by records of molecules)
********
(1)
This record from OMol25 describes a molecular structure, C5H6O2. The level of theory is the ωB97M-V functional and the def2-TZVPD basis.

Properties
HOMO energy, eV: -10.8
ΔE to the lowest compared entry with this formula, charge and spin, kcal per mole: 125.7
Orbital gap, eV: 9.708
Total charge: 0

```
13
C5H6O2, DFT the ωB97M-V functional and the def2-TZVPD basis
O 2.490 -0.732 -0.337
O 0.346 -1.162 0.326
C -0.416 1.242 0.548
C 1.400 -0.382 0.000
C -1.961 -0.655 -0.207
C 0.733 0.913 0.205
C -0.809 -0.255 0.685
H -0.997 -0.463 1.740
H 3.054 1.603 -0.713
H -2.136 -1.731 -0.107
H -1.727 -0.430 -1.252
H 2.912 2.271 -1.008
H -2.859 -0.105 0.082
```

Atomic partial charges in e from the Löwdin method, atoms 1 to 2: 0.115, 0.039

---

(2)
This record from OMol25 describes 3 unconnected molecules or ions with the total composition C25H56B2BrCl2IN3O14P2S4. The level of theory is the ωB97M-V functional and the def2-TZVPD basis.

Properties
HOMO energy, eV: -10.7
Orbital gap, eV: 7.489
Total charge: +1

```
110
C25H56B2BrCl2IN3O14P2S4, DFT the ωB97M-V functional and the def2-TZVPD basis
I 1.325 -4.043 -1.512
Br 0.293 2.065 3.781
Cl -1.396 2.768 -2.489
Cl -3.547 1.072 -3.101
S -4.517 4.199 2.012
S 4.467 -0.351 -0.787
S 0.379 -7.777 0.200
S 1.020 -1.549 -4.227
P 0.437 0.157 -3.539
P 0.382 2.399 1.472
O -5.267 5.466 2.673
O 5.692 0.508 -1.132
O -0.763 -1.250 2.091
O 3.450 0.653 -4.097
O 0.506 -7.428 1.591
O -0.619 -7.175 -0.645
O 1.716 3.433 1.439
O -4.233 3.237 3.046
O -1.844 0.777 1.764
O 1.635 3.309 -2.985
O 4.334 2.475 -2.853
O 0.273 -9.383 0.068
O -5.197 3.831 0.799
O 5.127 -1.175 0.318
N 0.912 0.704 -2.006
N 1.919 -0.045 0.608
N 3.670 1.747 0.297
C 0.945 -3.692 1.376
C 2.212 -1.039 3.100
C 0.842 -2.620 0.150
C -2.590 0.323 2.896
C 0.583 0.691 0.591
C 1.906 -1.464 0.117
C 4.390 -1.623 -2.139
C 1.792 4.765 -3.019
C -1.422 1.508 -1.114
C -6.670 5.368 2.935
C 2.566 -0.019 1.964
C -3.011 5.029 1.592
C -3.943 0.742 -0.440
C -0.093 0.666 -0.909
C 3.010 -2.156 3.466
C 1.957 -7.594 -0.581
C 2.943 0.632 -0.355
C 2.220 1.276 -1.678
C -0.395 6.289 -3.225
C -0.738 -10.063 0.815
C 1.879 2.860 -1.599
C 0.663 5.358 -4.013
C -2.106 -9.907 0.177
C -6.951 4.539 4.174
C -2.740 0.565 -1.491
B 3.282 1.463 -2.940
B -0.618 0.021 1.506
H 2.794 -2.017 0.600
H -1.474 6.112 -3.545
H -1.773 2.164 -0.261
H -0.246 -2.395 -0.075
H 3.280 1.223 -4.876
H 2.050 -4.019 1.373
H -0.468 -0.433 -0.949
H 2.344 3.242 2.167
H 2.881 -2.665 4.484
H -3.225 5.790 0.843
H -0.465 -11.120 0.824
H 3.706 -0.205 1.951
H -8.011 4.580 4.432
H 5.224 -1.525 -2.907
H -2.470 -0.531 -1.615
H -3.363 1.139 3.145
H 4.154 2.365 -0.363
H 1.912 -8.035 -1.576
H -2.842 -10.534 0.686
H -0.472 -1.382 3.006
H 1.395 -0.786 3.841
H 1.144 6.023 -4.817
H -1.988 0.199 3.870
H 2.712 -8.086 0.030
H -0.745 -9.722 1.854
H -2.591 5.475 2.493
H 4.405 -2.701 -1.743
H 5.160 2.055 -3.175
H -6.682 3.493 4.017
H 0.931 3.148 -1.066
H 2.714 3.527 -1.243
H 1.675 5.256 -2.002
H -2.322 4.286 1.188
H -4.066 1.797 -0.047
********

To date, more than a hundred compounds have been shown to extend the lifespan of model organisms. In humans, no drug is currently recognized to extend lifespan. Given the large diversity of drugs able to extend the lifespan of model organisms, it is likely that multiple drugs are able to extend the healthspan of humans. But how do we find these compounds?

The Scheibye-Knudsen lab has analyzed 1.5 billion prescriptions from 4.8 million individuals over 40 years in The Danish National Health Service Prescription Database and correlated this with the survival of individuals prescribed certain drugs. They received exclusive access to carry out this work. The Scheibye-Knudsen Lab has identified 10+ FDA approved medications that appear to have a strong effect on lifespan following analysis. This project will focus on optimising, repurposing, and re-formulating the 3 drugs with the strongest effect on human lifespan. Additionally, there is a database of compounds that could be pursued. The identities of the molecules are not disclosed in this presentation to protect the full viability of the intellectual property. They are referred to as X, Y, and Z.

About Morten Scheibye-Knudsen

Morten Scheibye-Knudsen is Associate Professor and group leader at the Center for Healthy Aging, University of Copenhagen, Denmark. Besides his research activity, he has been committed to educational programs and his online companies and Forsø The latter has grown to become the largest single provider of study participants in Denmark. Morten Scheibye-Knudsen also acts as an advisor or committee member for organisations such as the Longevity Vision Fund, the Lifeboat Foundation, the NNF Big Data in Biomedicine project and others. Morten Scheibye-Knudsen earned his MD in 2007 and his DMSc (PhD) in 2016 from the University of Copenhagen. After graduation, he worked as physician at Slagelse Hospital and at Nuuk Medical Clinic in Greenland. In 2008, he became a Postdoctoral Fellow at the National Institute on Aging at the NIH in Baltimore, Maryland. His work focused on the cross-talk between DNA repair and mitochondrial function in aging and has been honored by a number of competitive awards. In 2015 he was recruited to start his own research group at the University of Copenhagen, where his research group aims to understand the cellular and organismal consequences of DNA damage in the context of aging. He now runs one of the largest research programmes in Europe focusing on aging. His ultimate goal is to modulate and perhaps treat aging and age-related diseases, allowing everyone to live healthier and longer lives.

